Why Is China the Leader in Feathered Dinosaur Fossils?
China a Leader in Both New Dinosaur Discoveries and Fraud
by Dr Jerry Bergman
A cover story in a recent Smithsonian Magazine focuses on the modern Chinese boom in dinosaur and other fossil discoveries.[1] Many of the discoveries were made in the Liaoning and nearby provinces in China. Actually, so many finds were made that a new 28 million dollar building is being constructed to display a few of the more valuable fossil discoveries. The building, located in a desolate area 250 miles northeast of Beijing, expects to attract millions of visitors to experience the epicenter of paleontological discoveries that rivals the dinosaur discoveries in the late 19th century American West. Among the early discoveries made in Liaoning include claims of the first “feathered” dinosaur, now named Sinosauropteryx, “the China dragon bird.” The finder sold one half of the fossil to a museum and the other half, a mirror of the first half, to another museum.
Thus began the fossil gold rush that, so far, has yielded what are claimed to be over 40 dinosaur species.[2] Many (but not all) secular scientists consider so-called “feathered dinosaurs” strong evidence of dinosaurs evolving into birds. Clearly defined anatomy-based species categories exist for ‘bird’ and ‘dinosaur,’ but evolution requires some bird-dinosaur transition, and this is where the fossils found in China fit in. [3] Only birds, not mammals or reptiles, have modern flight feathers. Furthermore, with a possible few controversial exceptions, all extinct animals with feathers were birds. Even the proteins in bird feathers, called keratins, are unique. [4]
Not only dinosaur fossils have been found in the Liaoning region, but an entire, well-preserved ancient world, a picture of the world as it existed in the distant past, which was dated in the Darwin timescale at 131 to 120 million years ago. This is an important window when evolutionists believe dinosaurs were evolving into birds; thus, we could expect to find some clear evidence of transitional creatures.[5] The cache of the Liaoning region so far includes 24 winged flying reptiles called pterosaurs, and over 53 ancient bird species, plus flowering plants, spiders, and a variety of crustaceans, insects, snails, clams, and even algae and moss.[6] The area must have at one time been a forest because ferns, pine, cypress, ginkgo and other trees were found there. The fossils found are mostly articulated skeletons located in slabs of stone that have to be split in half or broken open to locate the skeleton. They look like “something had swatted the bird out of the sky and instantly entombed it in rock,” something like a giant flood.[7]
One important result was that no evidence for the theory that dinosaurs evolved into birds was found in the Liaoning Province fossils. This is a problem because in the Liaoning Province birds are found nearby the dinosaurs they supposedly evolved from, yet no transitional fossils which are part dinosaur and part bird have been found to link dinosaurs to birds. One claim was made of such a find which we will discuss. If the evolution of dinosaurs into birds occurred, we would expect that many transitional forms, or at least some, would be discovered among the thousands of fossils found in the Liaoning Province.
Thus, when a transitional form was announced in 1999, it caused worldwide excitement. The transition, called Archaeoraptor, made headlines. The November 1999 National Geographic cover[8] excitedly reported “It’s a Missing Link between terrestrial dinosaurs and birds that could fly.” The full color article added it “is a true missing link in the complex chain that connects dinosaurs to birds.”[9] Later, an imaging technique called Cross Section Computerized Tomography revealed it to be a sloppy forgery, built from three separate layers. Two (the top and bottom) were constructed from natural material, and one (the middle layer) was human added. The bottom layer was a piece of shale that was used as the backing on which was placed grout to hold the dozens of separate pieces of rock and bone used to construct the now-proven forgery.[10]
Archaeoraptor is evidently only the tip of a large forgery pile. The “flood of ‘improved,’ reconfigured and composite” fossils now in existence is enormous. Many have ended up in the world’s museums, and have caused major problems in Darwinists’ efforts to defend various evolution theories.[11] What some describe as a “flood of sham fossils pouring out of China” has, with good reason, caused no small number of persons to be skeptical of all new fossil finds from China.[12] One report listed 107 journal retractions of research papers by Chinese authors whose research was questionable. [13] In 2003, evolutionary fossil bird expert Alan Feduccia, referring to the famous Archaeoraptor ‘feathered dinosaur’ fossil widely touted by the National Geographic that turned out to be a fake, stated that
Archaeoraptor is just the tip of the iceberg. There are scores of fake fossils out there, and they have cast a dark shadow over the whole field. When you go to these fossil shows, it’s difficult to tell which ones are faked and which ones are not. I have heard that there is a fake-fossil factory in northeastern China, in Liaoning Province, near the deposits where many of these recent alleged feathered dinosaurs were found.[14]
In 2010, paleontologist Jiang Da-yong observed that the “fake fossil problem has become very, very serious” in China. He concluded that “more than 80% of marine reptile specimens now on display in Chinese museums” may be faked or doctored.[15] In a review of his own collection, the curator of paleontology at one major museum “identified a dozen specimens … including a 15-meter-long ichthyosaur that was ‘totally fake.’”[16] The major problem of authentication is a difficult to solve because
High-quality fossil forgeries can fool paleontologists just as easily as forgeries in the art community … Luis Chiappe, an early bird expert at the Natural History Museum of Los Angeles County in California, says that he will “always be skeptical of any specimen that is so neatly arranged, so well preserved in a single slab with little bone missing” [because some have been proven to be forgeries].[17]
The motivation is often money. The Liaoning province economy has significantly benefited from the sale of fossils for the reason that
local farmers—who vastly outnumber paleontologists—have become better and better at finding fossils and working with intermediaries and dealers to create composites that can be sold for higher prices. “We can’t blame the farmers for this … It’s money.” Creating composite fossils has become a small-scale industry in fossil-rich areas of China. “I have personally seen these composite fossils being constructed in workshops or little factories” across several counties in Gansu province, Deng says. “In each workshop, there are bones on shelves like parts in factories.”[18]
Deng adds some paleontologists have concluded that drastic steps are required to stem the flow of forgeries, such as requiring every fossil find being CT scanned before a study of it is published, and
the scans should be included in the [paleontological literature] … such a course has become necessary, at least for high-profile specimens on which major evolutionary claims are being based. “In the case of … Aurornis, CT scanning is essential … Without it, there will always be lingering doubt that the specimen is genuine.”[19]
The difficulties in determining whether or not a fossil is a feathered dinosaur are many.
The Problem of the Evolution of Feathers from Dinosaur Scales.
It should not be difficult to find evidence of flight feathers on fossil impressions if they existed. The use of feathers to achieve flight “affects virtually every aspect of feather design and construction.”[20] A flight feather has a long, slender central shaft called a rachis. From this extends the barbs, and from these extend the even smaller barbules. The barbules on one side of the barb, although smooth, link like Velcro to tiny hook-shaped barbules on the opposite side.
Calculated crystals that have nothing to do with the article.
(1)
# Nd5Tl3 (PBE-GGA, optimized geometry)
# **Calculated formation energy**: -0.32 eV per atom
# **Total moment**: 0.5 μB per formula unit
# **Total energy**: -4.185 eV/atom
data_Nd5Tl3
_symmetry_space_group_name_H-M 'I 4/m c m'
_symmetry_Int_Tables_number 140
_symmetry_space_group_name_Hall '-I 4 2c'
_cell_length_a 12.603
_cell_length_b 12.603
_cell_length_c 6.358
_cell_angle_alpha 90.00
_cell_angle_beta 90.00
_cell_angle_gamma 90.00
loop_
_atom_site_label
_atom_site_fract_x
_atom_site_fract_y
_atom_site_fract_z
Nd1 0.000 0.500 0.250
Nd2 0.086 0.217 0.000
Tl1 0.000 0.000 0.250
Tl2 0.160 0.340 0.500

***

(2)
# NdTl3 (PBE-GGA, optimized geometry)
# **Calculated formation energy**: -0.32 eV per atom
# **Total energy**: -3.283 eV/atom
data_NdTl3
_symmetry_space_group_name_H-M 'P m -3 m'
_symmetry_Int_Tables_number 221
_symmetry_space_group_name_Hall '-P 4 2 3'
_cell_length_a 4.842
_cell_length_b 4.842
_cell_length_c 4.842
_cell_angle_alpha 90.00
_cell_angle_beta 90.00
_cell_angle_gamma 90.00
loop_
_atom_site_label
_atom_site_fract_x
_atom_site_fract_y
_atom_site_fract_z
Nd1 0.000 0.000 0.000
Tl1 0.000 0.500 0.500

***

(3)
# Nd3Tl5 (PBE-GGA, optimized geometry)
# **Calculated formation energy**: -0.37 eV per atom
# **Total energy**: -3.636 eV/atom
data_Nd3Tl5
_symmetry_space_group_name_H-M 'C m c m'
_symmetry_Int_Tables_number 63
_symmetry_space_group_name_Hall '-C 2c 2'
_cell_length_a 10.518
_cell_length_b 8.394
_cell_length_c 10.620
_cell_angle_alpha 90.00
_cell_angle_beta 90.00
_cell_angle_gamma 90.00
loop_
_atom_site_label
_atom_site_fract_x
_atom_site_fract_y
_atom_site_fract_z
Nd1 0.000 0.129 0.250
Nd2 0.201 0.500 0.000
Tl1 0.000 0.193 0.551
Tl2 0.000 0.496 0.750
Tl3 0.225 0.215 0.750

***

(4)
# Nd2Tl (PBE-GGA, optimized geometry)
# **Calculated formation energy**: -0.27 eV per atom
# **Total energy**: -4.234 eV/atom
data_Nd2Tl
_symmetry_space_group_name_H-M 'P 63/m m c'
_symmetry_Int_Tables_number 194
_symmetry_space_group_name_Hall '-P 6c 2c'
_cell_length_a 5.5890
_cell_length_b 5.5890
_cell_length_c 6.9718
_cell_angle_alpha 90.00
_cell_angle_beta 90.00
_cell_angle_gamma 120.00
loop_
_atom_site_label
_atom_site_fract_x
_atom_site_fract_y
_atom_site_fract_z
Nd1 0.0000 0.0000 0.0000
Nd2 0.3333 0.6667 0.2500
Tl1 0.3333 0.6667 0.7500

***

calculated formation energy of number 1 (Nd5Tl3)?
-0.32 eV per atom

***

What is the formula in the fourth record?
Nd2Tl

* * * * *

1.
The following is a GGA-PBE calculation of a geometry-optimized KMg2P2H31O23 structure, from the Materials Project database.

Geometry as CIF:
```
data_KMg2P2H31O23
_chemical_formula_sum 'K1 Mg2 P2 H31 O23'
_cell_length_a 6.6026
_cell_length_b 6.8110
_cell_length_c 12.2845
_cell_angle_alpha 85.02
_cell_angle_beta 81.76
_cell_angle_gamma 88.81
_symmetry_space_group_name_H-M 'P 1'
_symmetry_Int_Tables_number 1
loop_
_symmetry_equiv_pos_as_xyz
'x,y,z'
loop_
_atom_site_label
_atom_site_fract_x
_atom_site_fract_y
_atom_site_fract_z
_atom_site_occupancy
K1 0.0000 0.0000 0.0000 1
End of the calculated crystals.
Assuming feathers on dinosaurs functioned like modern feathers, they must consist of all these required parts. Even the angle, thickness, shape, and construction of the parts must all be within a very narrow set of tolerances.[21] So far, Darwinists have only impressions of proto-feathers that they assume were structures on the way to becoming feathers. Until they are functional feathers, it appears that they would decrease a creature’s fitness, making their owners less likely to survive to produce future generations.[22]
Thomas and Sarfati observed that a few researchers, including some creation paleontologists, accept “feathered” dinosaurs
partly on the basis of detailed secular descriptions. Conversely, some creation scientists with expertise in other disciplines remain unconvinced that those secular descriptions have eliminated enough evolutionary bias to legitimize feathered dinosaurs as a Genesis-friendly category. In addition, secular reports fit the feathered dinosaur candidates into conflicting categories, and include disputes about whether certain fossilized structural remnants really represent feathers. Other intractable barriers against evolution from dinosaur to bird, including centres of mass and respiratory systems, should call into question attempts to conflate the categories. Thus, both creation and anti-creation researchers remain divided over how to categorize feathered dinosaur candidates, and even over the legitimacy of ‘feathered dinosaurs’ as a category.[23]
They add,
Since secularists could more easily construe a feathered dinosaur to fit that third category, biblical scientists should show healthy caution in interpreting feathered dinosaur claims.
Consequently, a creation worldview rejects the supposition that these proto-feathers are structures on the way to evolving into functional flight feathers.”
These proto-feathers could be skin collagen fibers. Some experts interpret the fibers, not as proto-feathers, but as partly decayed integument.[24] Other claimed evidence of fossil feathers resembles fossil preparation marks—not fossils. Most fossils consist of fragmented skeletal parts or only ambiguous impressions in stone.
Creatures where good evidence exists that they possess feather-like structures were likely unusual birds more like today’s ostrich, not dinosaurs. One example is a creature that looks very much like a bird, Microraptor gui of which many dozens of well-preserved specimens have been found. It reminds me very much of the Archaeopteryx fossil. Microraptors did not have proto-feathers, but long pennaceous feathers that formed aerodynamic surfaces on the arms, tail and evidently as on its legs as well, and display what appear to be quill knobs, where bone extends toward flight feathers to provide more muscle attachment for control. This example is not evidence that birds evolved from dinosaurs, but that the ancient world was even more diverse and rich with strange looking species than we previously knew. The issue is classification, and calling something a dinosaur does not make it a dinosaur.
For these and other reasons, even some leading evolutionists have rejected the “feathered dinosaur” conclusion.[25] For all these reasons, many researchers are “skeptical of inferring feathers when there are no feathers preserved” in the fossil record that are clearly connected to bona-fide dinosaurs.[26] Lingham-Soliar suggests that because the Sinosauropteryx fossil was found associated with lake biota, Sinosauropteryx was probably semi-aquatic. Filaments extending from the skin mostly resembled smooth downy feathers used in pillows. These structures may have helped waterproof the creature, serving the same function as duck feathers.[27]
Furthermore, no evidence for feather evolution exists. True feathers in the fossil record are consistently fully-formed and functional.[28] Extensive study of one of the oldest known feathers, a 69 millimeter-long, well-preserved example, claimed to be an Archaeopteryx feather, reveals that all its major details closely match those of modern bird feathers.[29] Thus, given this evidence, one would expect to find fully developed feathers on dinosaurs—but not “proto-feathers.”
Ignoring evolutionary wishful thinking, the current evidence suggests that proto-feathers were not structures evolving into feathers, but likely decayed skin, with fossilized collagen fibers remaining. Or they could be forgeries. Further research may challenge the conclusion that feathered dinosaurs don’t exist, but until then we must accept the existing evidence that disputes the feathered dinosaur theory. This conclusion largely takes the wind out of the sails of an evolutionary link between dinosaurs and birds and opens up a new area of strange animals that defy classification now like the duck-billed platypus did in its time: namely, the Microraptor family. This is the subject of another paper.
[1][1] Richard Conniff. 2018. The Great Sino Dino Boom. Smithsonian. 49(2): 28-35.
[2] Conniff, 2018, p. 31
[3] Sloan, 1999. 9. 99-103.
[4] Brush, A. 1996, On the Origin of Feathers. Journal of Evolutionary Biology. 9:131-142.
[5] Conniff. 2018, p. 34.
[6] Conniff, 2018, pp. 31-32.
[7] Conniff. 2018. p. 32.
[8] Christopher Sloan. 1999. Feathers for T, Rex? National Geographic. 196(5):98-107.
[9] Sloan, pp . 100, 101.
[10] Werner, Carl 2007. Evolution: The Grand Experiment Vol. 1 Green Forrest, AR: New Leaf Press. p. 171-172.
[11]Stone, Richard 2010. “Altering the Past: China’s Faked Fossils Problem.” Science, 330:1740-1741. December 24, p. 1740.
[12] Balter, Michael. 2013. “Authenticity of China’s Fabulous Fossils Gets New Scrutiny.” Science, 340:1153-1154, June 7. p. 1154.
[13] Stephen Chen, 2018. Science journal retracts 107 research papers by Chinese authors. South China Morning Post. https://www.scmp.com/news/china/society/article/2089973/science-journal-retracts-107-research-papers-chinese-authors.
[14] Feduccia, Alan. 2003. “Discover Dialogue: Ornithologist and evolutionary biologist Alan Feduccia plucking apart the Dino-Birds,” Discover Magazine. 24(2):16, February. pg. 16.
[15] Stone, 2010, p. 1740.
[16] Stone, 2010, p. 1741.
[17] Balter, 2013, p. 1154.
[18] Balter, 2013, p. 1154.
[19] Balter, 2013, p. 1154.
[20] Witmer, L. 1995, The Search for the Origin of Birds. New York: Franklin Watts. P. 9.
[21] Tarsitano, S. et al., 2000. “On the Evolution of Feathers from an Aerodynamic and Constructional View Point.” American Zoology, 40:676-686.
[22] Thomas, B. and J. Sarfati, 2018. Researchers remain divided over ‘feathered dinosaurs’ Journal of Creation. 32(1): 121-127.
[23] Thomas, Brian and Sarfati. 2018. p. 121.
[24] Feduccia, A 1999, The Origin and Evolution of Birds. New Haven, Connecticut: Yale University Press. Feduccia, A., et al., 2005. Do feathered dinosaurs exist? Testing the hypothesis on neonatological and paleontological evidence. Journal of Morphology 266:125-166.
[25] Brush, A. 1996, On the Origin of Feathers. Journal of Evolutionary Biology. 9:131-142.
[26] McLain et al. 2018, Feathered dinosaurs reconsidered. In Proceedings of the Eighth International Conference on Creationism, ed. J.H. Whitmore, pp. 472–515. Pittsburgh, Pennsylvania: Creation Science Fellowship. 477.
[27] Lingham-Soliar, T. 2012. The evolution of the feather: Sinosauropteryx, life, death, and preservation of an alleged feathered dinosaur, J. Ornithology 153(3): 699–711.
[28] Brush, 1996, p. 132.
[29] Parkes, K., 1966. Speculations on the origin of feathers. Living Bird 5:77–86.
Dr. Jerry Bergman has taught biology, genetics, chemistry, biochemistry, anthropology, geology, and microbiology at several colleges and universities including for over 40 years at Bowling Green State University, Medical College of Ohio where he was a research associate in experimental pathology, and The University of Toledo. He is a graduate of the Medical College of Ohio, Wayne State University in Detroit, the University of Toledo, and Bowling Green State University. He has over 1,300 publications in 12 languages and 40 books and monographs. His books and textbooks that include chapters that he authored, are in over 1,500 college libraries in 27 countries. So far over 80,000 copies of the 40 books and monographs that he has authored or co-authored are in print. For more articles by Dr Bergman, see his Author Profile.